Reading Twilight:

Summary: It is the day after Bella's 18th Birthday, and Edward has just decided that he is going to leave her for her own protection. However, when a mysterious gift is left on the front porch at the Cullen's home, will he change his mind? When cryptic letters lead the growing pack of werewolves, including those who haven't yet phased, along with the tribe elders to join the Cullens at their home, how will they react to what they hear?

Chapter 1: Letters and Preface

Bella was surprised to hear Charlie downstairs in the kitchen when she awoke on Saturday. She had thought he was going fishing with Billy today, and hadn't expected him to still be here. She wandered down the stairs, curious.

"Dad?" she asked, growing worried when she found him sitting at the table with a letter in his hand, looking distressed, "What's that? Is something wrong?"

"You tell me Bells," he replied gruffly, handing her the letter.

~~~
(1)
DFT (ωB97M-V/def2-TZVPD) results for an isolated molecule of C4H8OS at a distorted geometry.

XYZ file:
```
14
Properties=species:S:1:pos:R:3:forces:R:3:nbo_charge:R:1
C -1.71507 -0.99745 -0.85831 -0.21 0.10 0.23 -0.638
C -1.01265 -0.73596 0.44197 -2.05 -2.43 1.20 -0.231
C 0.12319 -0.09722 0.40530 1.89 1.13 -1.53 -0.104
C 0.81681 0.62656 1.45181 1.92 0.19 1.93 -0.675
S 0.88386 0.10452 -1.31493 0.11 0.42 0.06 0.431
O 2.40157 0.91881 -1.21699 -0.87 -1.47 2.13 -0.852
H -2.56639 -1.73083 -0.97160 1.47 0.47 0.36 0.231
H -2.11428 -0.01763 -1.03673 -0.73 0.52 -0.68 0.222
H -0.87918 -1.06342 -1.55507 -0.74 -0.95 -0.80 0.208
H -1.49284 -1.16454 1.38389 0.87 1.22 -1.02 0.220
H 0.44548 1.60655 1.57745 -1.24 1.22 -0.02 0.227
H 0.71269 0.18231 2.47997 0.38 0.07 -1.06 0.230
H 1.86088 0.94479 1.21390 -0.39 -1.21 0.23 0.243
H 2.53593 1.42349 -2.00066 -0.41 0.72 -1.03 0.487
```
Forces are in eV/Å.

SMILES	C/C=C(/C)SO
lowest unoccupied orbital energy	0.55	eV
multiplicity	1
relative energy (zero: lowest compared OMol25 entry of this formula, charge and spin)	58.2	kcal/mol
gap between HOMO and LUMO	8.7	eV
net charge	0
calculated total energy	-630.54223	Ha

=====

(2)
DFT (ωB97M-V/def2-TZVPD) results for an isolated molecule of C4H8OS at a distorted geometry.

XYZ file:
```
14
Properties=species:S:1:pos:R:3:forces:R:3:nbo_charge:R:1
O 0.85595 -1.28594 2.43837 -0.71 1.81 0.03 -0.710
C 0.50894 -1.58544 1.07462 -0.56 -3.31 1.87 -0.109
C 0.56088 -0.52226 0.13667 0.72 3.32 -2.09 -0.235
C -0.42161 0.23859 -0.41453 -1.11 -1.77 2.41 -0.141
C -0.20137 1.18687 -1.52020 1.24 -2.28 -0.42 -0.613
S -0.74968 2.82160 -1.17260 0.64 1.19 -0.07 0.020
H 0.32539 -0.47477 2.68867 0.94 -1.35 -0.34 0.464
H 1.25930 -2.39313 0.78477 -1.08 0.91 0.25 0.193
H -0.50326 -2.03146 1.09778 0.31 -0.08 -0.19 0.164
H 1.61775 -0.26182 -0.09651 -0.74 -0.01 -0.41 0.191
H -1.48231 0.16818 0.01805 1.41 -0.26 -0.81 0.192
H 0.86565 0.93563 -1.68576 -0.10 1.66 -0.30 0.247
H -0.65028 0.77095 -2.42335 -0.37 0.24 -0.04 0.227
H -1.98536 2.43300 -0.92600 -0.59 -0.07 0.11 0.112
```
Forces are in eV/Å.

SMILES	OC/C=C/CS
lowest unoccupied orbital energy	0.85	eV
multiplicity	1
relative energy (zero: lowest compared OMol25 entry of this formula, charge and spin)	40.5	kcal/mol
gap between HOMO and LUMO	10.2	eV
net charge	0
calculated total energy	-630.57046	Ha

=====

(3)
DFT (ωB97M-V/def2-TZVPD) results for an isolated molecule of C4H8OS at a distorted geometry.

XYZ file:
```
14
Properties=species:S:1:pos:R:3:forces:R:3:nbo_charge:R:1
C -0.57290 -0.67992 0.96173 3.77 -0.56 1.82 -0.506
C -0.12819 -0.83625 -0.47029 1.18 0.66 1.78 -0.119
C 0.22170 0.51433 1.71515 -2.18 0.51 -3.49 -0.366
C -0.70034 0.04905 -1.47108 -1.48 0.62 0.52 -0.131
O 0.07225 0.35980 -2.56496 -4.09 -0.84 -2.10 -0.728
S 1.81793 0.12461 2.26899 -0.62 -0.12 -0.04 0.076
H -1.60221 -0.64552 1.01400 -2.27 0.72 0.31 0.214
H -0.27345 -1.49129 1.68005 -0.38 -0.10 -1.27 0.211
H 0.83419 -1.25357 -0.76037 -0.12 -0.17 0.41 0.189
~~~

Isabella and Charlie Swan,

You don't know me, and it is better that way, but I have come to care about the both of you, and cannot bear to see you suffer needlessly. So I am writing to you to warn you of things to come, things which, if not averted, might threaten to tear you apart.

The Cullens will be receiving a set of books this morning with more information. Charlie, if you care about your daughter's future, please go there today, and do not leave until you have heard everything. Bella, if you value your sanity, go, and let them see the truth. You will understand what I mean when you arrive.


"I have no idea what this is supposed to mean," Bella said, not entirely lying. She had a sinking feeling she knew what this mystery person meant by 'the truth', but she wasn't about to tell Charlie that. "Should we go over to the Cullens and talk to them?"

"Yes," he answered immediately, "I want to know what the hell is going on, now."

Jacob was getting ready to leave for school. He was really growing tired of high school, but at least the reservation didn't seem to pile on too much homework.

He walked into the kitchen, and stopped surprised. Billy was sitting in his wheelchair, staring pensively at what looked like a letter. He wondered who that could be from? Maybe Rachel?

But it wasn't the letter that gave him pause; it was the expression of almost fear that was quickly becoming etched on his father's face.

"Dad?" he asked, worried, "Is everything ok?"

"I don't know son," he replied, handing Jacob the letter and rolling to the phone in the kitchen.

William and Jacob Black,

Someone you both care for very deeply has gotten themselves involved with dangerous forces which might pose a danger to her. Isabella Swan's relationship with the Cullens has brought her into a world she did not know existed, and as a result, her fate has been greatly altered. There is wonder ahead for her, but also great pain and suffering.

Jacob, If you wish to spare her horrible heartache, you will go to the Cullens' home today. You will be joined by the Cullen family, Bella, and her father Charlie, who have all received similar messages. I also suggest you call the other elders, and Sam's pack.

Billy, there is much for you to learn in the coming days, about yourselves, Bella, the Cullens, and what the future holds for all of you, but I beseech you, do not act until you have heard all that I have laid out for you. The future is not all bleak and hopeless. There is much for you to look forward to as well, if you allow yourself to be open to it.


As he finished reading the letter, he heard his father speaking to Sam on the phone. He wondered what SM meant by Sam's pack, and what the Uley kid had to do with all of this?

"So," he began uncertainly, "We're going to the Cullen's place? No school today?"


The Cullens were sitting in their living room, listening to Alice babble excitedly about her plans for the coming weekend when she suddenly stopped talking abruptly, her eyes far away, lost in a vision.

"Alice, what is it?" Jasper asked, feeling her confusion and uncertainty.

"I'm not sure," she responded, "I saw a letter, and books, and then everything just disappeared. I don't know."

"Odd," Edward mused, "Perhaps someone simply changed their mind abruptly, ending the vision?"

"I don't know," Alice repeated, and then suddenly rushed to the front door, wrenching it open, revealing a stack of books with a letter on top.

"What does it say?" Esme asked.

Emmett snatched it up and read it aloud for the family:

Carlisle, Esme, Edward, Rosalie, Emmett, Jasper, and Alice,

These books are a depiction of the thoughts and experiences of Bella Swan. Edward, I know you have always secretly desired to know how she truly thinks, and this is your chance, but I must warn you, not everything you read will be to your liking.

I have a gift, similar in many ways to Alice's. The first book is an insight into everything Bella has experienced over the last year or so, but much of the second book, and all of the third and fourth books are events in her life that have yet to transpire. I am showing you a glimpse into her future as it stands today. I pray, that given what you will learn over the next few days, you change that which causes you all so much pain.

I have sent letters to Bella, Charlie, Jacob, and Billy, and I have instructed Billy to call the pack, and the elders. I know you would prefer them not to be in your home for obvious reasons, but this is about their lives and their families as surely as it is about yours, so they have every right to read what I have written here. They are already on their way.

Secrets are going to come to light, and you need to trust that that is for the best. Do not try to stop them from being a part of this, and do not act in response to anything you read until you are finished with all four books.


"That does not sound good, at all," Jasper spoke softly, no doubt feeling all of our unrest.

"Someone's coming," Edward noted as the sound of several vehicles coming up the drive registered with everyone.